• Work order:
What is needed: say how many lines of the rows underneath hold the word "DFT-relaxed", as a bare number.
• Given:
- - -
Simulated PXRD pattern of NaIn3 for Cu Ka, from a cell relaxed with PBE.
No peak broadening, texture or thermal motion is included.

Principal peaks in the range 10 to 80 degrees two-theta, low angle first:
22.21 deg, I 17; 30.98 deg, I 23; 32.23 deg, I 28; 35.03 deg, I 100; 45.31 deg, I 16; 55.11 deg, I 17; 59.30 deg, I 21; 65.30 deg, I 20

Crystal structure
```
8
Lattice="6.666 0.000 0.000 -3.333 5.773 0.000 0.000 0.000 5.554" Properties=species:S:1:pos:R:3 pbc="T T T"
Na 0.000 3.849 1.389
Na 3.333 1.924 4.166
In 0.000 1.879 4.166
In -1.706 4.834 4.166
In 1.627 0.940 1.389
In 1.706 4.834 4.166
In 5.039 0.940 1.389
In 3.333 3.894 1.389
```

Simulated PXRD pattern of Na3In for Cu Ka, from a cell relaxed with PBE.
No peak broadening, texture or thermal motion is included.

Principal peaks in the range 10 to 80 degrees two-theta, low angle first:
19.69 deg, I 54; 22.78 deg, I 29; 32.43 deg, I 100; 38.23 deg, I 30; 46.52 deg, I 18; 50.98 deg, I 13; 57.85 deg, I 35; 77.27 deg, I 14

Crystal structure
```
4
Lattice="0.000 3.904 3.904 3.904 0.000 3.904 3.904 3.904 0.000" Properties=species:S:1:pos:R:3 pbc="T T T"
Na 0.000 0.000 0.000
Na 1.952 1.952 1.952
Na 5.857 5.857 5.857
In 3.904 3.904 3.904
```

Simulated PXRD pattern of Na3In for Cu Ka, from a cell relaxed with PBE.
No peak broadening, texture or thermal motion is included.

Principal peaks in the range 10 to 80 degrees two-theta, low angle first:
17.69 deg, I 24; 20.18 deg, I 70; 31.40 deg, I 100; 32.44 deg, I 21; 36.70 deg, I 33; 42.23 deg, I 21; 52.23 deg, I 22; 62.80 deg, I 31

Crystal structure
```
4
Lattice="-2.449 2.449 5.012 2.449 -2.449 5.012 2.449 2.449 -5.012" Properties=species:S:1:pos:R:3 pbc="T T T"
Na 0.000 0.000 0.000
Na 2.449 0.000 2.506
Na 0.000 2.449 2.506
In 0.000 0.000 5.012
```

* * * * *

Diffraction record for Pm2DyYTm2. The PXRD pattern is simulated, not measured: it uses a DFT-relaxed cell (GGA-PBE, Alexandria) and CuKα.
Neutral-atom scattering factors, no anomalous dispersion.

Crystal structure
Lattice parameters (Å, degrees): 7.0352 5.6274 9.7011 90.00 90.00 90.00
Space group Pmma (No. 51)
Symmetry-distinct sites (fractional):
Pm: 0.2500 0.0000 0.1553 (multiplicity 2)
Pm: 0.2500 0.5000 0.6760 (multiplicity 2)
Dy: 0.2500 0.0000 0.8195 (multiplicity 2)
Y: 0.0000 0.5000 0.0000 (multiplicity 2)
Tm: 0.0000 0.0000 0.5000 (multiplicity 2)
Tm: 0.2500 0.5000 0.3437 (multiplicity 2)

Peak list (6 most intense, 2θ from 10° to 80°, low angle first)
| 2theta | intensity |
| --- | --- |
| 31.39 | 100 |
| 31.80 | 39 |
| 31.92 | 74 |
| 45.31 | 24 |
| 56.55 | 24 |
| 62.30 | 33 |

---

Diffraction record for Pm3DyYTm. The PXRD pattern is simulated, not measured: it uses a DFT-relaxed cell (GGA-PBE, Alexandria) and CuKα.
Neutral-atom scattering factors, no anomalous dispersion.

Crystal structure
Lattice parameters (Å, degrees): 8.0299 5.0939 10.1511 90.00 108.50 90.00
Space group P2_1/m (No. 11)
Symmetry-distinct sites (fractional):
Pm: 0.1680 0.2500 0.0423 (multiplicity 2)
Pm: 0.1694 0.2500 0.5421 (multiplicity 2)
Pm: 0.1702 0.7500 0.7918 (multiplicity 2)
Dy: 0.4987 0.7500 0.1261 (multiplicity 2)
Y: 0.1703 0.7500 0.2934 (multiplicity 2)
Tm: 0.4997 0.2500 0.3765 (multiplicity 2)

Peak list (6 most intense, 2θ from 10° to 80°, low angle first)
| 2theta | intensity |
| --- | --- |
| 30.47 | 100 |
| 35.24 | 17 |
| 35.37 | 34 |
| 50.80 | 30 |
| 60.47 | 28 |
| 63.40 | 12 |

---

Diffraction record for PmDy2V. The PXRD pattern is simulated, not measured: it uses a DFT-relaxed cell (GGA-PBE, Alexandria) and CuKα.
Neutral-atom scattering factors, no anomalous dispersion.

Crystal structure
Lattice parameters (Å, degrees): 3.3863 3.3863 34.5623 90.00 90.00 120.00
Space group R-3m (No. 166, hexagonal axes)
Symmetry-distinct sites (fractional):
Pm: 0.0000 0.0000 0.0000 (multiplicity 3)
Dy: 0.0000 0.0000 0.4191 (multiplicity 6)
V: 0.0000 0.0000 0.5000 (multiplicity 3)

Peak list (6 most intense, 2θ from 10° to 80°, low angle first)
| 2theta | intensity |
| --- | --- |
- - -
• Solution:
3